== Data ==
/*
VASP calculation (PBE-GGA) on a relaxed structure of BC2.

## Properties
- space group = Cm, No. 8
- formation energy from the elements (eV per atom) = 0.31
- spin magnetization (μB/f.u.) = 0.0
- DOS at the Fermi energy (states/eV per cell) = 1.82
- calculated density (g/cm3) = 3.00
- calculated total energy (eV per atom) = -8.062

a = 6.7912 Å, b = 7.1717 Å, c = 7.1717 Å
α = 159.13°, β = 141.60°, γ = 44.40°
Positions (direct):
B 0.0135 0.3342 0.6793
B 0.1012 0.1225 0.9787
B 0.6499 0.9827 0.6672
B 0.5198 0.8213 0.6985
C 0.6288 0.2827 0.3461
C 0.4964 0.1661 0.3303
C 0.9877 0.9844 0.0033
C 0.1358 0.7865 0.3493
C 0.9839 0.6719 0.3119
C 0.6142 0.6283 0.9859
C 0.4913 0.5097 0.9815
C 0.1275 0.4596 0.6679


(1)
A relaxed structure of SiIrW2, computed with PBE.

Cell: 4.8880 4.8880 2.7781 Å, 89.97 89.97 116.12°
Sites, in units of the cell vectors:
W (0.0000, 0.0000, 0.0000)
W (0.5000, 0.5000, 0.0000)
Ir (0.5000, 0.0000, 0.5000)
Si (0.0000, 0.5000, 0.5000)

Computed properties:
- E_form (uncorrected): -1.88 kJ per mole of atoms
- Uncorrected energy: -40.3 eV for the cell shown
- Symmetry: Cmmm (65)


(2)
A relaxed structure of SiIr2W, computed with PBE.

Cell: 4.7156 4.7156 4.7156 Å, 131.32 131.32 71.30°
Sites, in units of the cell vectors:
W (0.7500, 0.2500, 0.5000)
Ir (0.0000, 0.0000, 0.0000)
Ir (0.5000, 0.5000, 0.0000)
Si (0.2500, 0.7500, 0.5000)

Computed properties:
- E_form (uncorrected): -15.00 kJ per mole of atoms
- Uncorrected energy: -36.7 eV for the cell shown
- Symmetry: I4/mmm (139)


(3)
A relaxed structure of SiIrW2, computed with PBE.

Cell: 8.9414 8.9414 8.9414 Å, 18.09 18.09 18.09°
Sites, in units of the cell vectors:
Si (0.7539, 0.7539, 0.7539)
Ir (0.4948, 0.4948, 0.4948)
W (0.2462, 0.2462, 0.2462)
W (0.0051, 0.0051, 0.0051)

Computed properties:
- E_form (uncorrected): 2.43 kJ per mole of atoms
- Uncorrected energy: -40.1 eV for the cell shown
- Symmetry: R3m (160)


(4)
A relaxed structure of SiIrW, computed with PBE.

Cell: 5.4153 5.4153 5.4153 Å, 149.63 147.94 44.75°
Sites, in units of the cell vectors:
Ir (0.9832, 0.9832, 0.0000)
W (0.6786, 0.6786, 0.0000)
Si (0.3382, 0.3382, 0.0000)

Computed properties:
- E_form (uncorrected): -21.28 kJ per mole of atoms
- Uncorrected energy: -27.9 eV for the cell shown
- Symmetry: Imm2 (44)
- Polymorph energy (0 for the lowest one): 65 meV per atom


(5)
A relaxed structure of SiIrW, computed with PBE.

Cell: 4.1593 4.2367 6.6703 Å, 127.40 108.17 90.00°
Sites, in units of the cell vectors:
W (0.5807, 0.9125, 0.1615)
W (0.4193, 0.0875, 0.8385)
Si (0.2483, 0.2609, 0.4966)
Si (0.7517, 0.7391, 0.5034)
Ir (0.8842, 0.4897, 0.7683)
Ir (0.1158, 0.5103, 0.2317)

Computed properties:
- E_form (uncorrected): -23.03 kJ per mole of atoms
- Uncorrected energy: -55.9 eV for the cell shown
- Symmetry: C2/m (12)
- Polymorph energy (0 for the lowest one): 47 meV per atom


(6)
A relaxed structure of SiIr2W, computed with PBE.

Cell: 5.1811 5.1811 5.1811 Å, 147.75 129.06 61.59°
Sites, in units of the cell vectors:
W (0.2500, 0.7500, 0.5000)
Ir (0.9714, 0.9714, 0.0000)
Ir (0.5286, 0.5286, 0.0000)
Si (0.7500, 0.2500, 0.5000)

Computed properties:
- E_form (uncorrected): -24.55 kJ per mole of atoms
- Uncorrected energy: -37.1 eV for the cell shown
- Symmetry: Immm (71)


(7)
A relaxed structure of SiIr2W, computed with PBE.

Cell: 2.8237 3.8088 5.3914 Å, 90.00 90.00 90.00°
Sites, in units of the cell vectors:
W (0.5000, 0.5000, 0.7500)
Si (0.5000, 0.5000, 0.2500)
Ir (0.0000, 0.0000, 0.4976)
Ir (0.0000, 0.0000, 0.0024)

Computed properties:
- E_form (uncorrected): -21.96 kJ per mole of atoms
- Uncorrected energy: -37.0 eV for the cell shown
- Symmetry: Pmmm (47)


(8)
A relaxed structure of SiIr2W, computed with PBE.

Cell: 3.8060 3.9104 3.9104 Å, 90.00 90.00 90.00°
Sites, in units of the cell vectors:
Si (0.5000, 0.5000, 0.0000)
W (0.5000, 0.0000, 0.5000)
Ir (0.0000, 0.0000, 0.0000)
Ir (0.0000, 0.5000, 0.5000)

Computed properties:
*/
== Work order ==
Give back all of the listing further up with every line break kept, please.
== Result ==
VASP calculation (PBE-GGA) on a relaxed structure of BC2.

## Properties
- space group = Cm, No. 8
- formation energy from the elements (eV per atom) = 0.31
- spin magnetization (μB/f.u.) = 0.0
- DOS at the Fermi energy (states/eV per cell) = 1.82
- calculated density (g/cm3) = 3.00
- calculated total energy (eV per atom) = -8.062

a = 6.7912 Å, b = 7.1717 Å, c = 7.1717 Å
α = 159.13°, β = 141.60°, γ = 44.40°
Positions (direct):
B 0.0135 0.3342 0.6793
B 0.1012 0.1225 0.9787
B 0.6499 0.9827 0.6672
B 0.5198 0.8213 0.6985
C 0.6288 0.2827 0.3461
C 0.4964 0.1661 0.3303
C 0.9877 0.9844 0.0033
C 0.1358 0.7865 0.3493
C 0.9839 0.6719 0.3119
C 0.6142 0.6283 0.9859
C 0.4913 0.5097 0.9815
C 0.1275 0.4596 0.6679


(1)
A relaxed structure of SiIrW2, computed with PBE.

Cell: 4.8880 4.8880 2.7781 Å, 89.97 89.97 116.12°
Sites, in units of the cell vectors:
W (0.0000, 0.0000, 0.0000)
W (0.5000, 0.5000, 0.0000)
Ir (0.5000, 0.0000, 0.5000)
Si (0.0000, 0.5000, 0.5000)

Computed properties:
- E_form (uncorrected): -1.88 kJ per mole of atoms
- Uncorrected energy: -40.3 eV for the cell shown
- Symmetry: Cmmm (65)


(2)
A relaxed structure of SiIr2W, computed with PBE.

Cell: 4.7156 4.7156 4.7156 Å, 131.32 131.32 71.30°
Sites, in units of the cell vectors:
W (0.7500, 0.2500, 0.5000)
Ir (0.0000, 0.0000, 0.0000)
Ir (0.5000, 0.5000, 0.0000)
Si (0.2500, 0.7500, 0.5000)

Computed properties:
- E_form (uncorrected): -15.00 kJ per mole of atoms
- Uncorrected energy: -36.7 eV for the cell shown
- Symmetry: I4/mmm (139)


(3)
A relaxed structure of SiIrW2, computed with PBE.

Cell: 8.9414 8.9414 8.9414 Å, 18.09 18.09 18.09°
Sites, in units of the cell vectors:
Si (0.7539, 0.7539, 0.7539)
Ir (0.4948, 0.4948, 0.4948)
W (0.2462, 0.2462, 0.2462)
W (0.0051, 0.0051, 0.0051)

Computed properties:
- E_form (uncorrected): 2.43 kJ per mole of atoms
- Uncorrected energy: -40.1 eV for the cell shown
- Symmetry: R3m (160)


(4)
A relaxed structure of SiIrW, computed with PBE.

Cell: 5.4153 5.4153 5.4153 Å, 149.63 147.94 44.75°
Sites, in units of the cell vectors:
Ir (0.9832, 0.9832, 0.0000)
W (0.6786, 0.6786, 0.0000)
Si (0.3382, 0.3382, 0.0000)

Computed properties:
- E_form (uncorrected): -21.28 kJ per mole of atoms
- Uncorrected energy: -27.9 eV for the cell shown
- Symmetry: Imm2 (44)
- Polymorph energy (0 for the lowest one): 65 meV per atom


(5)
A relaxed structure of SiIrW, computed with PBE.

Cell: 4.1593 4.2367 6.6703 Å, 127.40 108.17 90.00°
Sites, in units of the cell vectors:
W (0.5807, 0.9125, 0.1615)
W (0.4193, 0.0875, 0.8385)
Si (0.2483, 0.2609, 0.4966)
Si (0.7517, 0.7391, 0.5034)
Ir (0.8842, 0.4897, 0.7683)
Ir (0.1158, 0.5103, 0.2317)

Computed properties:
- E_form (uncorrected): -23.03 kJ per mole of atoms
- Uncorrected energy: -55.9 eV for the cell shown
- Symmetry: C2/m (12)
- Polymorph energy (0 for the lowest one): 47 meV per atom


(6)
A relaxed structure of SiIr2W, computed with PBE.

Cell: 5.1811 5.1811 5.1811 Å, 147.75 129.06 61.59°
Sites, in units of the cell vectors:
W (0.2500, 0.7500, 0.5000)
Ir (0.9714, 0.9714, 0.0000)
Ir (0.5286, 0.5286, 0.0000)
Si (0.7500, 0.2500, 0.5000)

Computed properties:
- E_form (uncorrected): -24.55 kJ per mole of atoms
- Uncorrected energy: -37.1 eV for the cell shown
- Symmetry: Immm (71)


(7)
A relaxed structure of SiIr2W, computed with PBE.

Cell: 2.8237 3.8088 5.3914 Å, 90.00 90.00 90.00°
Sites, in units of the cell vectors:
W (0.5000, 0.5000, 0.7500)
Si (0.5000, 0.5000, 0.2500)
Ir (0.0000, 0.0000, 0.4976)
Ir (0.0000, 0.0000, 0.0024)

Computed properties:
- E_form (uncorrected): -21.96 kJ per mole of atoms
- Uncorrected energy: -37.0 eV for the cell shown
- Symmetry: Pmmm (47)


(8)
A relaxed structure of SiIr2W, computed with PBE.

Cell: 3.8060 3.9104 3.9104 Å, 90.00 90.00 90.00°
Sites, in units of the cell vectors:
Si (0.5000, 0.5000, 0.0000)
W (0.5000, 0.0000, 0.5000)
Ir (0.0000, 0.0000, 0.0000)
Ir (0.0000, 0.5000, 0.5000)

Computed properties: